The promise of reduced costs, increased flexibility, and independence from vendors of proprietary products has convinced organizations worldwide to deploy Open Source Software (OSS) in their production environments and commercial offerings. Therefore, the ability to scale software, seamlessly integrate open source software in products and increase benefits from OSS participation are crucial capabilities. However, the nature of OSS is not entirely compatible with the rigid structures and processes of many large companies and thus successfully managing OSS has proven to be highly difficult. Previous research has shown that many companies have built previous success on ‘closed innovation’ logic and must now move in a highly counterintuitive di...
The main research interest in Open Source Software (OSS) has been in answering the questions of why ...
Open source programvare (OSS) har vært en viktig og økende del av innovasjon, utvikling og forskning...
Open source software (OSS) is probably the best known exemplar of open innovation, with many practit...
The promise of reduced costs, increased flexibility, and independence from vendors of proprietary pr...
Open Source Software has been all about myths until recently, with many people believing that open s...
Abstrakt Avsikten med denna uppsats har varit att undersöka begreppet Open Source Software (OSS) ur ...
For the past decades, digitalization has been a growing trend in society. An increasingly common way...
Mitt lärdomsprov handlar om hur man med hjälp av avgiftsfria open source program kan bygga upp en ko...
Calculated crystals, as found in the file >
=====
# 1
TcHgB after structural relaxation. Source: the Open Quantum Materials Database, functional PBE.

Unit cell a=5.5596 b=5.5596 c=5.5596 alpha=90.00 beta=90.00 gamma=90.00
Closest atoms and distances in Å follow each position.
Space group F-43m (No. 216)
Inequivalent atoms, fractional coordinates:
Tc 0.0000 0.0000 0.0000 x4  4 B 2.41
Hg 0.0000 0.0000 0.5000 x4  4 B 2.41
B 0.2500 0.2500 0.7500 x4  4 Tc 2.41, 4 Hg 2.41

For the energy above the lowest structure with this stoichiometry, the calculation gives 0.0000 eV/atom. The value obtained for the magnetic moment is 0.002 μB per formula unit.

---

# 2
LiScTlCo after structural relaxation. Source: the Open Quantum Materials Database, functional PBE.

Unit cell a=6.3932 b=6.3932 c=6.3932 alpha=90.00 beta=90.00 gamma=90.00
Closest atoms and distances in Å follow each position.
Space group F-43m (No. 216)
Inequivalent atoms, fractional coordinates:
Li 0.0000 0.0000 0.0000 x4  4 Tl 2.77, 4 Sc 2.77
Sc 0.2500 0.2500 0.7500 x4  4 Li 2.77, 4 Co 2.77
Tl 0.2500 0.2500 0.2500 x4  4 Li 2.77, 4 Co 2.77
Co 0.0000 0.0000 0.5000 x4  4 Tl 2.77, 4 Sc 2.77

For the energy above the lowest structure with this stoichiometry, the calculation gives 0.0000 eV/atom. The value obtained for the magnetic moment is 0.698 μB per formula unit.

---

no.,calculated total energy (eV per atom)
1,-5.026
2,-4.531

----------

No. 1
Here is a geometry-optimized PuTaS structure from the Alexandria database. Energies are from GGA-PBE.

Cell and atoms, written as CIF:
```
data_PuTaS
_cell_length_a 5.056
_cell_length_b 3.211
_cell_length_c 8.204
_cell_angle_alpha 101.28
_cell_angle_beta 107.95
_cell_angle_gamma 90.00
_space_group_name_H-M_alt 'P 1'
_space_group_IT_number 1
loop_
_space_group_symop_operation_xyz
'x,y,z'
loop_
_atom_site_label
_atom_site_type_symbol
_atom_site_fract_x
_atom_site_fract_y
_atom_site_fract_z
_atom_site_occupancy
Pu1 Pu 0.668 0.168 0.336 1
Pu2 Pu 0.332 0.832 0.664 1
Ta1 Ta 0.746 0.500 0.000 1
Ta2 Ta 0.254 0.500 0.000 1
S1 S 0.150 0.650 0.301 1
S2 S 0.850 0.350 0.699 1
```

Results
The uncorrected formation energy comes out at -385 meV/atom. For the total DFT energy (no corrections), the calculation gives -62.94 eV for the cell shown.


No. 2
Here is a geometry-optimized PuTa4S8 structure from the Alexandria database. Energies are from GGA-PBE.

Cell and atoms, written as CIF:
```
data_PuTa4S8
_cell_length_a 6.824
_cell_length_b 6.824
_cell_length_c 7.627
_cell_angle_alpha 100.50
_cell_angle_beta 106.06
_cell_angle_gamma 119.15
_space_group_name_H-M_alt 'P 1'
_space_group_IT_number 1
loop_
_space_group_symop_operation_xyz
'x,y,z'
loop_
_atom_site_label
_atom_site_type_symbol
_atom_site_fract_x
_atom_site_fract_y
_atom_site_fract_z
_atom_site_occupancy
Pu1 Pu 0.000 0.500 0.500 1
Ta1 Ta 0.205 0.205 0.000 1
Ta2 Ta 0.795 0.795 0.000 1
Ta3 Ta 0.233 0.777 0.010 1
Ta4 Ta 0.767 0.223 0.990 1
S1 S 0.702 0.020 0.227 1
S2 S 0.207 0.525 0.227 1
S3 S 0.682 0.501 0.183 1
S4 S 0.221 0.042 0.264 1
S5 S 0.779 0.958 0.736 1
=====
Open Source Software (OSS) has become important to the software industry. A survey discovered that c...
The purpose of the study is partly to identify and describe the conditions that arenecessary for ICT...
Open source er anerkjent fenomen i programvareindustrien og -samfunnet på grunn av de svært innovati...
Open source eller öppen källkod innebär att vem som helst kan se, justera och dela koden. Företag, o...
Det råder idag stor splittring bland företagen i Sverige om huruvida de skall satsa på Open Source-b...
Open Source Software (OSS) is becoming a real alternative to proprietary software because of the att...
Open source software (OSS) is probably the best known exemplar of open innovation, with many practit...
The main research interest in Open Source Software (OSS) has been in answering the questions of why ...
Open source programvare (OSS) har vært en viktig og økende del av innovasjon, utvikling og forskning...
- - -
Compound: SiTeRh2N
Source: Alexandria via LeMat-Bulk
Functional: PBE
Structure: optimized geometry

Values from the calculation:
* crystal system: tetragonal
* formation energy (no corrections): 0.30 eV/atom
* DOS(E_F): 5.5 states/eV per cell

```
data_SiTeRh2N
_cell_length_a 4.804
_cell_length_b 4.804
_cell_length_c 3.367
_cell_angle_alpha 90.00
_cell_angle_beta 90.00
_cell_angle_gamma 90.00
_space_group_name_H-M_alt 'P 4/m m m'
_space_group_IT_number 123
_space_group_name_Hall '-P 4 2'
loop_
_atom_site_label
_atom_site_fract_x
_atom_site_fract_y
_atom_site_fract_z
Si1 0.000 0.000 0.000
Te1 0.500 0.500 0.500
Rh1 0.000 0.500 0.000
N1 0.000 0.000 0.500
```

Compound: SiTeRhN2
Source: Alexandria via LeMat-Bulk
Functional: PBE
Structure: optimized geometry

Values from the calculation:
* crystal system: tetragonal
* formation energy (no corrections): 1.23 eV/atom
* distance to the lowest polymorph of the same formula: 501.3 meV/atom
* DOS(E_F): 3.8 states/eV per cell

```
data_SiTeRhN2
_cell_length_a 3.842
_cell_length_b 3.842
_cell_length_c 6.062
_cell_angle_alpha 90.00
_cell_angle_beta 90.00
_cell_angle_gamma 90.00
_space_group_name_H-M_alt 'P 4/m m m'
_space_group_IT_number 123
_space_group_name_Hall '-P 4 2'
loop_
_atom_site_label
_atom_site_fract_x
_atom_site_fract_y
_atom_site_fract_z
Si1 0.000 0.000 0.000
Te1 0.500 0.500 0.000
Rh1 0.500 0.500 0.500
N1 0.000 0.500 0.500
```

Compound: TiSi2RhN
Source: Alexandria via LeMat-Bulk
Functional: PBE
Structure: optimized geometry

Values from the calculation:
* crystal system: tetragonal
* formation energy (no corrections): 0.82 eV/atom
* DOS(E_F): 5.2 states/eV per cell

```
data_TiSi2RhN
_cell_length_a 4.832
_cell_length_b 4.832
_cell_length_c 3.704
_cell_angle_alpha 90.00
_cell_angle_beta 90.00
_cell_angle_gamma 90.00
_space_group_name_H-M_alt 'P 4/m m m'
_space_group_IT_number 123
_space_group_name_Hall '-P 4 2'
loop_
_atom_site_label
_atom_site_fract_x
_atom_site_fract_y
_atom_site_fract_z
Ti1 0.000 0.000 0.000
Si1 0.000 0.500 0.000
Rh1 0.500 0.500 0.500
N1 0.000 0.000 0.500
```

Compound: SmRhN
Source: Alexandria via LeMat-Bulk
Functional: PBE
Structure: optimized geometry

Values from the calculation:
* crystal system: hexagonal
* formation energy (no corrections): 0.14 eV/atom
* DOS(E_F): 2.4 states/eV per cell

```
data_SmRhN
_cell_length_a 4.7443
_cell_length_b 4.7443
_cell_length_c 3.8028
_cell_angle_alpha 90.00
_cell_angle_beta 90.00
_cell_angle_gamma 120.00
_space_group_name_H-M_alt 'P -6 m 2'
_space_group_IT_number 187
_space_group_name_Hall 'P -6 2'
loop_
_atom_site_label
_atom_site_fract_x
_atom_site_fract_y
_atom_site_fract_z
Sm1 0.0000 0.0000 0.0000
Rh1 0.3333 0.6667 0.0000
N1 0.3333 0.6667 0.5000
```

Compound: SmRhN3
Source: Alexandria via LeMat-Bulk
Functional: PBE
Structure: optimized geometry

Values from the calculation:
* crystal system: monoclinic
* formation energy (no corrections): -0.47 eV/atom
* DOS(E_F): 2.9 states/eV per cell

```
data_SmRhN3
_cell_length_a 5.642
- - -
Open source software (OSS) is probably the best known exemplar of open innovation, with many practit...
The promise of reduced costs, increased flexibility, and independence from vendors of proprietary pr...
Open Source Software has been all about myths until recently, with many people believing that open s...
Abstrakt Avsikten med denna uppsats har varit att undersöka begreppet Open Source Software (OSS) ur ...
For the past decades, digitalization has been a growing trend in society. An increasingly common way...
Mitt lärdomsprov handlar om hur man med hjälp av avgiftsfria open source program kan bygga upp en ko...
Open Source Software (OSS) has become important to the software industry. A survey discovered that c...
The purpose of the study is partly to identify and describe the conditions that arenecessary for ICT...
Open source er anerkjent fenomen i programvareindustrien og -samfunnet på grunn av de svært innovati...
Open source eller öppen källkod innebär att vem som helst kan se, justera och dela koden. Företag, o...
Det råder idag stor splittring bland företagen i Sverige om huruvida de skall satsa på Open Source-b...
Open Source Software (OSS) is becoming a real alternative to proprietary software because of the att...
Open source software (OSS) is probably the best known exemplar of open innovation, with many practit...
The main research interest in Open Source Software (OSS) has been in answering the questions of why ...
Open source programvare (OSS) har vært en viktig og økende del av innovasjon, utvikling og forskning...
Open source software (OSS) is probably the best known exemplar of open innovation, with many practit...